Could you restate the whole of the rows further below character by character?

+++
(1)
A 3-piece molecular cluster, C20H42NO10P2 overall in a non-equilibrium geometry, computed with ωB97M-V/def2-TZVPD.

Properties
Net charge: +1
HOMO-LUMO gap: 0.27468 Ha
Energy relative to the best compared isomer or geometry (same formula, charge and spin): 0.00 kJ/mol
Highest occupied orbital energy: -0.4293 Ha

Geometry as XYZ:
```
75
Properties=species:S:1:pos:R:3:forces:R:3:lowdin_charge:R:1
P -2.9621 1.1750 -4.4284 -1.5186 -2.7783 5.5790 0.53
P 0.7236 3.0337 1.8190 3.3373 4.5395 3.2798 0.53
O -3.9208 0.3769 -5.4700 1.5255 1.9261 -1.4305 -0.19
O -0.3553 2.6175 2.7478 -0.8402 -1.8697 -2.4103 -0.22
O 0.7970 4.6442 2.0724 -0.2580 -0.3835 -0.4727 -0.21
O 0.1954 -2.4195 3.3206 0.6944 -0.0608 1.1716 -0.02
O -2.6436 -0.2040 -3.5933 0.0279 0.0972 -0.6413 -0.21
O -4.1673 1.7569 -3.5193 0.3005 -0.0294 -0.8091 -0.19
O 2.1206 2.5892 2.5299 -0.4847 -0.2023 -0.5947 -0.19
O 1.3573 3.1849 0.3324 -1.9720 -2.0750 -0.0661 -0.19
O -0.1429 -3.3066 2.2645 -0.1727 0.2205 -1.2472 -0.11
O -1.7648 1.9943 -4.1196 -0.1489 0.6564 -2.9965 -0.23
N 3.2344 -5.6577 4.4101 0.2151 -0.5032 -0.3272 0.16
C 5.5406 -2.7478 3.2809 -0.8372 0.5010 0.3218 0.16
C -5.6421 3.0185 -5.0122 0.1188 -0.1059 -0.1072 -0.08
C -1.0886 -0.1220 -1.7501 0.0396 -0.0853 0.2224 -0.07
C -3.3428 -0.1794 -6.6795 0.0195 -0.3481 -0.2230 -0.25
C 0.0576 -4.5909 2.7948 -0.0721 0.3134 1.5643 -0.16
C 0.4585 3.3647 -0.7976 -0.1020 0.3357 -0.3923 -0.24
C 3.6717 -5.5186 3.2043 -0.0781 -0.6715 -0.4694 -0.17
C 2.4978 -5.5125 2.2635 -0.1579 0.9125 0.0109 -0.02
C 5.1247 -5.3442 2.8837 -0.0167 0.2491 0.5180 -0.09
C -0.3001 5.3545 2.6542 -0.0303 0.1404 0.3307 -0.30
C 1.7594 -5.7548 4.4377 -0.2763 1.9697 -0.1311 -0.05
C -4.7077 3.0510 -3.8163 -0.2265 0.2533 -0.1012 -0.27
C -1.3147 -0.5193 -3.1934 0.0579 0.0410 0.2673 -0.31
C -2.5650 -1.4556 -6.4180 0.1992 0.0898 0.2164 -0.07
C 1.4933 -4.8077 3.2398 0.9242 -1.4603 -0.8149 -0.24
C 2.4154 1.2045 2.6467 0.1457 -0.2597 -0.1306 -0.29
C 5.4005 -3.9158 3.0866 0.0485 -0.5497 -0.3506 -0.12
C -0.0728 5.5823 4.1339 0.1274 0.0480 0.0833 -0.07
C 2.9005 0.6158 1.3306 -0.1210 -0.0162 -0.0544 -0.08
C -0.0895 4.7759 -0.8837 -0.1336 0.0471 0.2977 -0.06
H -2.3599 -1.9734 -7.3552 -0.0657 0.0519 -0.0382 0.08
H -1.1926 -1.5996 -3.3050 -0.1347 -0.0062 -0.0252 0.11
H 0.1678 4.6516 4.6468 -0.1363 -0.0806 -0.0666 0.07
H -2.7118 0.5669 -7.1660 -0.0453 0.0291 -0.0064 0.12
H -6.1451 3.9786 -5.1311 0.0241 0.0106 0.0372 0.08
H -6.3915 2.2369 -4.8927 -0.0309 0.0311 0.0611 0.08
H 2.1010 0.6030 0.5876 0.0235 -0.0479 0.0015 0.06
H 5.3394 -5.6607 1.8654 0.0408 -0.0780 0.0254 0.14
H -0.2900 -5.3411 2.0888 -0.0280 0.2672 -0.2904 0.15
H -4.1781 -0.3882 -7.3454 -0.1171 0.1214 0.1315 0.12
H -1.3736 0.9143 -1.5772 0.0407 0.0429 -0.1612 0.06
H -0.5514 4.9422 -1.8569 0.0482 -0.0925 -0.0346 0.08
H -3.1189 -2.1190 -5.7556 -0.0804 -0.0027 -0.0579 0.09
H 2.0343 -3.8955 3.4901 -0.8392 0.4661 0.0824 0.14
H 1.3514 -5.2630 5.3170 0.0682 -0.7074 0.4091 0.15
H 5.3568 -1.7263 3.5333 0.5875 0.0853 -0.1393 0.05
H 2.1588 -6.5330 2.0505 0.1767 -0.0855 0.1005 0.15
H -0.8518 4.9498 -0.1227 0.0044 0.0293 -0.0087 0.07
H -5.0951 2.8052 -5.9328 -0.0278 0.0554 -0.0077 0.07
H -0.9603 6.0186 4.5948 0.0048 0.0060 -0.0088 0.08
H -0.0375 -0.2501 -1.4785 -0.0057 0.0044 0.0078 0.07
H -1.6062 -1.2421 -5.9429 -0.0026 -0.0254 0.0025 0.07
H 1.4422 -6.7731 4.2245 -0.1250 -0.0682 0.4268 0.15
H 1.0383 3.1466 -1.6925 0.1592 -0.1251 0.1510 0.12
H -0.5657 -4.6423 3.6994 -0.0663 -0.2787 -0.1164 0.14
H -0.5834 -0.0467 -3.8493 -0.0445 0.1323 0.0331 0.10
H 0.7650 6.2632 4.2889 -0.0145 0.0185 -0.0203 0.08
H -5.2575 3.3632 -2.9294 0.0812 -0.1154 0.0767 0.12
H 0.6999 5.5101 -0.7296 0.0535 -0.0321 -0.0736 0.09
H 3.8505 -5.6871 5.2141 -0.1147 -0.0807 0.0925 0.19
H 2.6506 -5.0146 1.3081 0.3022 0.1121 0.1173 0.14
H -0.3505 2.6366 -0.7429 0.0308 -0.0316 -0.0071 0.09
H 1.5353 0.6650 3.0145 0.0212 0.0336 0.0448 0.10
H 3.2492 -0.4102 1.4721 -0.0139 0.0063 0.0275 0.06
H 3.2005 1.1131 3.3984 -0.0574 0.1440 0.0616 0.11
+++

(1)
A 3-piece molecular cluster, C20H42NO10P2 overall in a non-equilibrium geometry, computed with ωB97M-V/def2-TZVPD.

Properties
Net charge: +1
HOMO-LUMO gap: 0.27468 Ha
Energy relative to the best compared isomer or geometry (same formula, charge and spin): 0.00 kJ/mol
Highest occupied orbital energy: -0.4293 Ha

Geometry as XYZ:
```
75
Properties=species:S:1:pos:R:3:forces:R:3:lowdin_charge:R:1
P -2.9621 1.1750 -4.4284 -1.5186 -2.7783 5.5790 0.53
P 0.7236 3.0337 1.8190 3.3373 4.5395 3.2798 0.53
O -3.9208 0.3769 -5.4700 1.5255 1.9261 -1.4305 -0.19
O -0.3553 2.6175 2.7478 -0.8402 -1.8697 -2.4103 -0.22
O 0.7970 4.6442 2.0724 -0.2580 -0.3835 -0.4727 -0.21
O 0.1954 -2.4195 3.3206 0.6944 -0.0608 1.1716 -0.02
O -2.6436 -0.2040 -3.5933 0.0279 0.0972 -0.6413 -0.21
O -4.1673 1.7569 -3.5193 0.3005 -0.0294 -0.8091 -0.19
O 2.1206 2.5892 2.5299 -0.4847 -0.2023 -0.5947 -0.19
O 1.3573 3.1849 0.3324 -1.9720 -2.0750 -0.0661 -0.19
O -0.1429 -3.3066 2.2645 -0.1727 0.2205 -1.2472 -0.11
O -1.7648 1.9943 -4.1196 -0.1489 0.6564 -2.9965 -0.23
N 3.2344 -5.6577 4.4101 0.2151 -0.5032 -0.3272 0.16
C 5.5406 -2.7478 3.2809 -0.8372 0.5010 0.3218 0.16
C -5.6421 3.0185 -5.0122 0.1188 -0.1059 -0.1072 -0.08
C -1.0886 -0.1220 -1.7501 0.0396 -0.0853 0.2224 -0.07
C -3.3428 -0.1794 -6.6795 0.0195 -0.3481 -0.2230 -0.25
C 0.0576 -4.5909 2.7948 -0.0721 0.3134 1.5643 -0.16
C 0.4585 3.3647 -0.7976 -0.1020 0.3357 -0.3923 -0.24
C 3.6717 -5.5186 3.2043 -0.0781 -0.6715 -0.4694 -0.17
C 2.4978 -5.5125 2.2635 -0.1579 0.9125 0.0109 -0.02
C 5.1247 -5.3442 2.8837 -0.0167 0.2491 0.5180 -0.09
C -0.3001 5.3545 2.6542 -0.0303 0.1404 0.3307 -0.30
C 1.7594 -5.7548 4.4377 -0.2763 1.9697 -0.1311 -0.05
C -4.7077 3.0510 -3.8163 -0.2265 0.2533 -0.1012 -0.27
C -1.3147 -0.5193 -3.1934 0.0579 0.0410 0.2673 -0.31
C -2.5650 -1.4556 -6.4180 0.1992 0.0898 0.2164 -0.07
C 1.4933 -4.8077 3.2398 0.9242 -1.4603 -0.8149 -0.24
C 2.4154 1.2045 2.6467 0.1457 -0.2597 -0.1306 -0.29
C 5.4005 -3.9158 3.0866 0.0485 -0.5497 -0.3506 -0.12
C -0.0728 5.5823 4.1339 0.1274 0.0480 0.0833 -0.07
C 2.9005 0.6158 1.3306 -0.1210 -0.0162 -0.0544 -0.08
C -0.0895 4.7759 -0.8837 -0.1336 0.0471 0.2977 -0.06
H -2.3599 -1.9734 -7.3552 -0.0657 0.0519 -0.0382 0.08
H -1.1926 -1.5996 -3.3050 -0.1347 -0.0062 -0.0252 0.11
H 0.1678 4.6516 4.6468 -0.1363 -0.0806 -0.0666 0.07
H -2.7118 0.5669 -7.1660 -0.0453 0.0291 -0.0064 0.12
H -6.1451 3.9786 -5.1311 0.0241 0.0106 0.0372 0.08
H -6.3915 2.2369 -4.8927 -0.0309 0.0311 0.0611 0.08
H 2.1010 0.6030 0.5876 0.0235 -0.0479 0.0015 0.06
H 5.3394 -5.6607 1.8654 0.0408 -0.0780 0.0254 0.14
H -0.2900 -5.3411 2.0888 -0.0280 0.2672 -0.2904 0.15
H -4.1781 -0.3882 -7.3454 -0.1171 0.1214 0.1315 0.12
H -1.3736 0.9143 -1.5772 0.0407 0.0429 -0.1612 0.06
H -0.5514 4.9422 -1.8569 0.0482 -0.0925 -0.0346 0.08
H -3.1189 -2.1190 -5.7556 -0.0804 -0.0027 -0.0579 0.09
H 2.0343 -3.8955 3.4901 -0.8392 0.4661 0.0824 0.14
H 1.3514 -5.2630 5.3170 0.0682 -0.7074 0.4091 0.15
H 5.3568 -1.7263 3.5333 0.5875 0.0853 -0.1393 0.05
H 2.1588 -6.5330 2.0505 0.1767 -0.0855 0.1005 0.15
H -0.8518 4.9498 -0.1227 0.0044 0.0293 -0.0087 0.07
H -5.0951 2.8052 -5.9328 -0.0278 0.0554 -0.0077 0.07
H -0.9603 6.0186 4.5948 0.0048 0.0060 -0.0088 0.08
H -0.0375 -0.2501 -1.4785 -0.0057 0.0044 0.0078 0.07
H -1.6062 -1.2421 -5.9429 -0.0026 -0.0254 0.0025 0.07
H 1.4422 -6.7731 4.2245 -0.1250 -0.0682 0.4268 0.15
H 1.0383 3.1466 -1.6925 0.1592 -0.1251 0.1510 0.12
H -0.5657 -4.6423 3.6994 -0.0663 -0.2787 -0.1164 0.14
H -0.5834 -0.0467 -3.8493 -0.0445 0.1323 0.0331 0.10
H 0.7650 6.2632 4.2889 -0.0145 0.0185 -0.0203 0.08
H -5.2575 3.3632 -2.9294 0.0812 -0.1154 0.0767 0.12
H 0.6999 5.5101 -0.7296 0.0535 -0.0321 -0.0736 0.09
H 3.8505 -5.6871 5.2141 -0.1147 -0.0807 0.0925 0.19
H 2.6506 -5.0146 1.3081 0.3022 0.1121 0.1173 0.14
H -0.3505 2.6366 -0.7429 0.0308 -0.0316 -0.0071 0.09
H 1.5353 0.6650 3.0145 0.0212 0.0336 0.0448 0.10
H 3.2492 -0.4102 1.4721 -0.0139 0.0063 0.0275 0.06
H 3.2005 1.1131 3.3984 -0.0574 0.1440 0.0616 0.11